┌──
[1]
FeHO2 (PBE+U, optimized geometry); formation enthalpy at 0 K = -1371 meV per atom
1.0
12.8488 0.0000 0.0000
0.0000 2.9757 0.0000
0.0000 0.0098 4.6938
Fe H O
4 4 8
Cartesian
8.5250 2.7015 1.4428
2.1006 0.2841 3.2509
4.2621 1.7831 1.1087
10.6865 1.2024 3.5850
4.5342 0.2684 3.5273
10.9586 2.7171 1.1664
6.5933 1.0008 0.9022
0.1689 1.9847 3.7916
3.8613 0.2713 4.2822
10.2857 2.7142 0.4115
9.0398 1.2176 2.6223
2.6154 1.7679 2.0715
5.2120 0.2951 1.8555
11.6364 2.6904 2.8382
7.5002 1.2147 0.5587
1.0758 1.7708 4.1351

***

[2]
FeHO2 (PBE+U, optimized geometry); formation enthalpy at 0 K = -1550 meV per atom
1.0
-1.9036 -2.1870 0.9662
1.0386 1.0412 4.4028
-7.5381 6.6520 0.2053
Fe H O
4 4 8
Cartesian
-3.6485 1.1822 2.7493
-7.8140 4.1115 1.1500
-4.7591 4.3188 2.8273
-0.5846 1.3999 4.4222
-2.6341 3.1011 4.2742
-6.6958 6.1353 3.0837
-5.7800 2.3924 1.3057
-1.6961 -0.6163 2.4851
-2.5733 1.6741 1.1424
-6.2158 5.1273 1.7698
-5.8321 3.8294 4.4332
-2.1848 0.3817 3.8034
-3.1032 3.1172 3.3879
-6.7429 6.5747 3.9841
-5.3114 2.3756 2.1923
-1.6485 -1.0551 1.5844

***

[3]
FeHO2 (PBE+U, optimized geometry); formation enthalpy at 0 K = -1480 meV per atom
1.0
0.6289 -1.9183 2.3238
-0.6250 -6.8736 -3.4661
6.9617 1.2663 -2.8777
Fe H O
4 4 8
Cartesian
1.3488 -3.8255 -1.4844
3.4594 -1.0568 -1.8087
5.6167 -3.7003 -2.5358
3.5063 -6.4686 -2.2111
0.8432 -3.3423 1.0905
6.1222 -4.1833 -5.1105
5.7742 -1.1189 -0.4478
1.1910 -6.4066 -3.5721
0.6172 -4.0984 0.5267
6.3480 -3.4272 -4.5466
4.8485 -1.0777 -0.1633
2.1177 -6.4478 -3.8567
4.2861 -4.9654 -3.2199
2.6799 -2.5600 -0.8000
2.2247 -5.5420 -1.0994
4.7411 -1.9838 -2.9209

***

[4]
Fe8H10O17 (PBE+U, optimized geometry); formation enthalpy at 0 K = -1419 meV per atom
1.0
-5.0938 1.4086 -3.1805
0.3141 -9.3178 -4.9451
-6.0599 -4.3326 7.7304
Fe H O
16 20 34
Cartesian
-3.7172 -11.1826 0.6402
-5.0722 -7.3107 4.6613
-2.0518 -4.1135 -1.7626
-3.0502 -9.3943 -3.0413
-1.9201 -3.4852 1.3479
-0.5021 -7.1570 -2.6215
-6.1199 -9.7018 2.2252
-5.1788 -4.2597 3.2740
-6.2288 -10.5582 -0.8618
-7.5772 -6.6253 3.0033
-4.5356 -3.3790 -3.3699
-4.8415 0.0856 -1.1689
-4.5664 -2.7131 -0.1730
-3.1232 -6.5222 -4.1302
-8.6628 -8.9307 0.7095
-7.6095 -3.5162 1.5097
-8.6457 -7.2040 -1.3512
-8.6192 -4.9562 -0.5109
-4.0282 -4.7566 1.0897
-6.6897 -4.6537 -2.9412
-2.1784 -8.0791 -0.5250
-6.0130 -7.5501 -4.1932
-7.2060 -0.4620 0.0195
-4.1889 -9.1258 -0.9266
-6.8643 -5.1716 5.1552
-6.2667 -7.8875 0.1334
-6.0864 -5.5542 0.9327
-4.4149 -5.3412 -1.6343
-8.7244 -11.3488 -0.2644
-6.1474 -9.8621 -3.1948
-9.0724 -4.6264 3.7534
-2.5622 -1.0727 -1.1803
-2.0678 -8.8308 -5.8217
-5.7261 -4.4538 7.0848
-0.5882 -9.0467 -4.6209
-5.0652 -8.0720 -2.5491
-9.0201 -8.0946 -1.2946
-10.5498 -9.3143 0.5653
-3.9151 -5.9388 3.4461
-3.9049 -3.5248 4.5630
-2.5601 -2.6498 -0.3691
-4.0250 -3.8832 1.5317
-1.8338 -8.2506 -4.0286
-2.0008 -5.8992 -2.6095
-1.6588 -5.1002 0.1417
-0.1100 -3.7413 -1.6865
-1.7624 -8.5102 -1.2866
-1.9849 -1.6012 2.2663
-5.6590 -11.2404 0.8678
-4.1439 -10.0895 -1.1211
-6.3143 -5.5329 4.4345
-6.0711 -7.8740 3.0457
-6.5445 -8.7999 0.3020
-8.0537 -10.0139 2.1956
-6.4214 -5.2408 1.7856
-6.4626 -2.8538 2.9901
-5.0304 -1.7996 -1.9358
-6.5562 -2.9845 -0.0693
-4.4479 -7.4732 -5.4282
-4.6221 -5.1937 -4.1381
-4.2016 -4.4032 -1.4745
-2.6309 -3.0139 -3.2998
-4.5844 -0.8511 0.6142
-8.2854 -10.5846 -0.6727
-6.7141 -9.4012 -2.5337
-8.8063 -4.8466 2.8428
-8.6293 -7.1286 1.4274
-2.7422 -0.1406 -1.5642
-0.2230 -0.4634 0.0788
-4.1313 -7.7788 -2.4989

***

[5]
Fe21HO32 (PBE+U, optimized geometry); formation enthalpy at 0 K = -1507 meV per atom
1.0
-6.8870 2.9253 -4.0980
-3.9575 1.3939 7.4281
3.0850 7.9492 0.2720
Fe H O
21 1 32
Cartesian
-4.3603 3.0484 -1.4987
-2.9456 2.3089 4.0673
0.4552 5.4744 0.6116
-5.0626 10.0153 4.1922
0.2634 7.7898 2.5228
-3.1522 4.6105 5.9935
-5.6380 3.3581 4.9041
-7.0588 4.1008 -0.6860
-7.5805 8.7468 3.0888
-0.4669 8.1715 -0.3504
-5.8023 10.4019 1.2819
-5.3033 5.7349 -2.4699
-5.7851 6.8128 5.3687
-2.4053 9.9588 1.9345
-7.1909 7.5477 -0.1627
└──

Repeat the lines further above up to the one that holds "0.1334", that line included.

[1]
FeHO2 (PBE+U, optimized geometry); formation enthalpy at 0 K = -1371 meV per atom
1.0
12.8488 0.0000 0.0000
0.0000 2.9757 0.0000
0.0000 0.0098 4.6938
Fe H O
4 4 8
Cartesian
8.5250 2.7015 1.4428
2.1006 0.2841 3.2509
4.2621 1.7831 1.1087
10.6865 1.2024 3.5850
4.5342 0.2684 3.5273
10.9586 2.7171 1.1664
6.5933 1.0008 0.9022
0.1689 1.9847 3.7916
3.8613 0.2713 4.2822
10.2857 2.7142 0.4115
9.0398 1.2176 2.6223
2.6154 1.7679 2.0715
5.2120 0.2951 1.8555
11.6364 2.6904 2.8382
7.5002 1.2147 0.5587
1.0758 1.7708 4.1351

***

[2]
FeHO2 (PBE+U, optimized geometry); formation enthalpy at 0 K = -1550 meV per atom
1.0
-1.9036 -2.1870 0.9662
1.0386 1.0412 4.4028
-7.5381 6.6520 0.2053
Fe H O
4 4 8
Cartesian
-3.6485 1.1822 2.7493
-7.8140 4.1115 1.1500
-4.7591 4.3188 2.8273
-0.5846 1.3999 4.4222
-2.6341 3.1011 4.2742
-6.6958 6.1353 3.0837
-5.7800 2.3924 1.3057
-1.6961 -0.6163 2.4851
-2.5733 1.6741 1.1424
-6.2158 5.1273 1.7698
-5.8321 3.8294 4.4332
-2.1848 0.3817 3.8034
-3.1032 3.1172 3.3879
-6.7429 6.5747 3.9841
-5.3114 2.3756 2.1923
-1.6485 -1.0551 1.5844

***

[3]
FeHO2 (PBE+U, optimized geometry); formation enthalpy at 0 K = -1480 meV per atom
1.0
0.6289 -1.9183 2.3238
-0.6250 -6.8736 -3.4661
6.9617 1.2663 -2.8777
Fe H O
4 4 8
Cartesian
1.3488 -3.8255 -1.4844
3.4594 -1.0568 -1.8087
5.6167 -3.7003 -2.5358
3.5063 -6.4686 -2.2111
0.8432 -3.3423 1.0905
6.1222 -4.1833 -5.1105
5.7742 -1.1189 -0.4478
1.1910 -6.4066 -3.5721
0.6172 -4.0984 0.5267
6.3480 -3.4272 -4.5466
4.8485 -1.0777 -0.1633
2.1177 -6.4478 -3.8567
4.2861 -4.9654 -3.2199
2.6799 -2.5600 -0.8000
2.2247 -5.5420 -1.0994
4.7411 -1.9838 -2.9209

***

[4]
Fe8H10O17 (PBE+U, optimized geometry); formation enthalpy at 0 K = -1419 meV per atom
1.0
-5.0938 1.4086 -3.1805
0.3141 -9.3178 -4.9451
-6.0599 -4.3326 7.7304
Fe H O
16 20 34
Cartesian
-3.7172 -11.1826 0.6402
-5.0722 -7.3107 4.6613
-2.0518 -4.1135 -1.7626
-3.0502 -9.3943 -3.0413
-1.9201 -3.4852 1.3479
-0.5021 -7.1570 -2.6215
-6.1199 -9.7018 2.2252
-5.1788 -4.2597 3.2740
-6.2288 -10.5582 -0.8618
-7.5772 -6.6253 3.0033
-4.5356 -3.3790 -3.3699
-4.8415 0.0856 -1.1689
-4.5664 -2.7131 -0.1730
-3.1232 -6.5222 -4.1302
-8.6628 -8.9307 0.7095
-7.6095 -3.5162 1.5097
-8.6457 -7.2040 -1.3512
-8.6192 -4.9562 -0.5109
-4.0282 -4.7566 1.0897
-6.6897 -4.6537 -2.9412
-2.1784 -8.0791 -0.5250
-6.0130 -7.5501 -4.1932
-7.2060 -0.4620 0.0195
-4.1889 -9.1258 -0.9266
-6.8643 -5.1716 5.1552
-6.2667 -7.8875 0.1334